06-30-24 was written and produced by Craig Desson.
Craig says:
First of all, don't worry, this 'experimental audio' piece is short. It won't take more than four minutes of your time. I promise you won't be bored. Second, picture what your hearing looks like. Then this piece will be like watching a movie of somebody else's dream; which is fun!
I love the work of the 60s era NFB experimental filmmaker Arthur Lipsett and so I wanted to try and do what he does. The piece is also an exploration of the digital subconscious that exists on my MacBook. It's made up of sounds on my hard drive that I recorded over the last year that just felt right together.
I tried to never work tired. The moment my creative juices started to ebb, I put this away. So it was always fun. It was an experiment to put this quote from Ernest Hemingway into practice: The best way is always to stop when you are going good and when you know what will happen next. If you do that every day when you are writing a novel you will never be stuck. That is the most valuable thing I can tell you so try to remember it.
'''
No. 1
Diffraction record for Nd2Ti4O11. The powder diffraction line list is computed, not measured: it uses a cell relaxed with PBE and λ = 1.5418 Å (Cu Kα).
Peak positions follow from Bragg's law for the DFT cell and can differ from measured ones.

Peak list (10 most intense, 2θ from 10° to 90°, in order of rising 2θ)
| h k l | 2θ (°) | I/Imax |
| --- | --- | --- |
| 1 1 -2 | 22.3 | 27 |
| 1 1 2 | 25.1 | 74 |
| 3 1 0 | 26.9 | 100 |
| 3 1 -2 | 27.3 | 36 |
| 0 0 4 | 29.5 | 20 |
| 1 1 -4 | 33.1 | 26 |
| 1 1 4 | 37.0 | 23 |
| 6 0 -2 | 39.4 | 20 |
| 3 1 -6 | 46.4 | 25 |
| 4 2 2 | 50.6 | 45 |

Crystal structure
Cell lengths 13.7461, 5.1259, 12.8288 Å; angles 90.00, 108.98, 90.00 degrees
Space group C2/c (No. 15)
Asymmetric unit:
1 Nd 0.1987 0.0067 0.0939 (multiplicity 8)
2 Ti 0.0298 0.4482 0.9027 (multiplicity 8)
3 Ti 0.1102 0.0580 0.3096 (multiplicity 8)
4 O 0.0000 0.3432 0.2500 (multiplicity 4)
5 O 0.0461 0.1456 0.6686 (multiplicity 8)
6 O 0.0672 0.3481 0.0557 (multiplicity 8)
7 O 0.1388 0.2783 0.4395 (multiplicity 8)
8 O 0.1581 0.2296 0.9035 (multiplicity 8)
9 O 0.2187 0.1673 0.2768 (multiplicity 8)

***

No. 2
Diffraction record for Nd4Zr3TiO14. The powder diffraction line list is computed, not measured: it uses a cell relaxed with PBE and λ = 1.5418 Å (Cu Kα).
Peak positions follow from Bragg's law for the DFT cell and can differ from measured ones.

Peak list (10 most intense, 2θ from 10° to 90°, in order of rising 2θ)
| h k l | 2θ (°) | I/Imax |
| --- | --- | --- |
| 1 0 1 | 14.3 | 8 |
| 2 0 2 | 28.9 | 100 |
| 0 2 4 | 33.5 | 31 |
| 1 0 7 | 36.6 | 8 |
| 2 0 8 | 48.1 | 49 |
| 2 2 6 | 57.1 | 43 |
| 4 0 4 | 59.9 | 10 |
| 4 2 2 | 77.8 | 17 |
| 2 4 4 | 80.3 | 14 |
| 0 2 16 | 89.8 | 14 |

Crystal structure
Cell lengths 7.5625, 7.5625, 18.5378 Å; angles 90.00, 90.00, 120.00 degrees
Space group R-3m (No. 166, hexagonal axes)
Asymmetric unit:
1 Nd 0.0000 0.0000 0.0000 (multiplicity 3)
2 Nd 0.0000 0.5000 0.5000 (multiplicity 9)
3 Zr 0.0000 0.5000 0.0000 (multiplicity 9)
4 Ti 0.0000 0.0000 0.5000 (multiplicity 3)
5 O 0.0000 0.0000 0.1258 (multiplicity 6)
6 O 0.0515 0.5257 0.3648 (multiplicity 18)
7 O 0.0708 0.5354 0.1115 (multiplicity 18)

***

No. 3
Diffraction record for Nd2Tl2O7. The powder diffraction line list is computed, not measured: it uses a cell relaxed with PBE and λ = 1.5418 Å (Cu Kα).
Peak positions follow from Bragg's law for the DFT cell and can differ from measured ones.

Peak list (10 most intense, 2θ from 10° to 90°, in order of rising 2θ)
| h k l | 2θ (°) | I/Imax |
| --- | --- | --- |
| 0 2 1 | 27.2 | 95 |
| 2 0 1 | 28.5 | 100 |
| 2 2 0 | 31.3 | 48 |
| 0 0 2 | 34.2 | 23 |
| 0 4 0 | 43.1 | 19 |
| 4 0 0 | 46.4 | 16 |
| 2 2 2 | 47.0 | 57 |
| 2 4 1 | 52.5 | 33 |
| 4 2 1 | 54.7 | 28 |
| 4 2 3 | 76.6 | 15 |

Crystal structure
Cell lengths 7.8241, 8.3957, 5.2383 Å; angles 90.00, 90.00, 90.00 degrees
Space group Cmmm (No. 65)
Asymmetric unit:
1 Nd 0.2393 0.0000 0.0000 (multiplicity 4)
2 Tl 0.0000 0.2311 0.5000 (multiplicity 4)
'''
What's inspiring Craig the worlds of audio and beyond:
My hero is Adam Curtis. He's a filmmaker at the BBC who makes brilliant political documentary series using their archives. His films are the most epic stories one can imagine. One film tracks Freud's idea of psychoanalysis through the history of public relations over a century. Another film, (three hours long!) follows the history of Islamic extremism and neo-conservatism from the end of the cold war to September 11. Curtis's most recent series is called Hyper-Normalization and it's about how politics has become a surreal/bizarre theater to keep people confused. Sound like anything you know?
The other great thing about his films are 90 percent of them are just him talking over archival clips. But, the writing is crystal clear and the narrative arch's so lean that it unrolls brilliantly. Also, he finds all these strange serendipitous moments in the archives you never see on TV. So, it doesn't look anything like a regular news documentary.
Misplaced data records
********
The following is a simulated powder X-ray diffraction pattern of SrPb2IO6. It was derived from a structure optimized by DFT (GGA-PBE), using Cu Kα.
Intensities are scaled so that the largest is 1000.

The 12 most intense peaks (10 to 90 degrees two-theta), by intensity:
2theta  Rel. int.  h k l
29.15  1000  1 1 -3
28.92  852  1 1 1
27.35  427  0 2 0
30.78  421  2 0 -2
41.64  409  2 2 -2
45.75  229  1 3 0
41.40  191  0 0 4
53.86  186  3 1 -5
53.46  178  3 1 -1
16.97  162  0 1 1
50.34  159  0 2 4
20.47  134  1 1 -1

Crystal structure
```
20
Lattice="5.8094 0.0000 0.0000 0.0000 6.5222 0.0000 -5.7222 0.0000 8.7234" Properties=species:S:1:pos:R:3 pbc="T T T"
Sr 0.0000 0.0000 0.0000
Sr -2.8611 3.2611 4.3617
Pb -2.8902 0.3456 6.3187
Pb -0.0291 2.9155 1.9570
Pb 0.1164 3.6067 6.7664
Pb 2.9775 6.1767 2.4047
I 0.0436 0.0000 4.3617
I 2.9047 3.2611 0.0000
O -1.6997 1.0648 4.2116
O -4.5607 2.1963 8.5733
O -3.8628 4.8792 8.1184
O -1.0017 4.9041 3.7567
O 0.5361 0.4193 2.4274
O -2.3250 2.8418 6.7891
O 2.4123 3.6804 1.9343
O -0.4488 6.1029 6.2960
O 1.0890 1.6181 4.9667
O 3.9501 1.6430 0.6050
O 4.6480 4.3259 0.1501
O 1.7869 5.4574 4.5118
```
********
And finally! The opening montage to the Power of Nightmares is just amazing editing/storytelling.
Constellations says:
"Every monastery should have a room like this." What a perfect snip of tape.
We love this piece for its intimate, collected quality - sparkling snapshots, bits and pieces pulled from recordings, archives, in-between moments. Each clip is like a little secret that the producer lets us wonder about (and with its spacious pacing, wander about, too). Maybe this also has something to do with the title of the piece, which was Craig's high school locker combination. Through the frame of meditation, Craig's 06-30-24 embodies the tension of a mind attempting calm in a loud world.
-- Data records, as found in the file --
┌──
1.
The following is a calculated X-ray diffraction stick pattern of LiSiAg2. It was derived from a DFT-relaxed cell (GGA-PBE, the Materials Project), using CuKα.
Kinematic intensities with the Lorentz-polarization factor, no thermal factor.

Principal peaks in the range 2θ from 5° to 70°, most intense first:
40.00 deg, I = 100, (1 1 1); 28.74 deg, I = 68, (1 1 0); 41.09 deg, I = 46, (2 0 0); 27.22 deg, I = 39, (0 0 1); 49.99 deg, I = 28, (2 0 1); 59.52 deg, I = 15, (2 2 0); 64.30 deg, I = 12, (1 1 2); 66.64 deg, I = 11, (2 2 1)

Structure:
```
data_LiSiAg2
_chemical_formula_sum 'Li1 Si1 Ag2'
_cell_length_a 4.3931
_cell_length_b 4.3931
_cell_length_c 3.2757
_cell_angle_alpha 90.00
_cell_angle_beta 90.00
_cell_angle_gamma 90.00
_space_group_name_H-M_alt 'P 4/m m m'
_space_group_IT_number 123
_space_group_name_Hall '-P 4 2'
loop_
_atom_site_label
_atom_site_fract_x
_atom_site_fract_y
_atom_site_fract_z
_atom_site_occupancy
Li1 0.0000 0.0000 0.0000 1
Si1 0.5000 0.5000 0.0000 1
Ag1 0.0000 0.5000 0.5000 1
```

=====

2.
The following is a calculated X-ray diffraction stick pattern of MgFeCuS2. It was derived from a DFT-relaxed cell (GGA-PBE, the Materials Project), using CuKα.
Kinematic intensities with the Lorentz-polarization factor, no thermal factor.

Principal peaks in the range 2θ from 5° to 70°, most intense first:
41.07 deg, I = 100, (1 1 2); 30.47 deg, I = 98, (1 1 0); 11.55 deg, I = 72, (0 0 1); 53.67 deg, I = 70, (0 2 0); 43.93 deg, I = 56, (2 0 2); 36.11 deg, I = 22, (1 1 -2); 50.27 deg, I = 21, (2 0 -4); 69.73 deg, I = 18, (4 0 1)

Structure:
```
data_MgFeCuS2
_chemical_formula_sum 'Mg2 Fe2 Cu2 S4'
_cell_length_a 5.9161
_cell_length_b 3.4161
_cell_length_c 7.9139
_cell_angle_alpha 90.00
_cell_angle_beta 104.53
_cell_angle_gamma 90.00
_space_group_name_H-M_alt 'C 1 m 1'
_space_group_IT_number 8
_space_group_name_Hall 'C -2y'
loop_
_atom_site_label
_atom_site_fract_x
_atom_site_fract_y
_atom_site_fract_z
_atom_site_occupancy
Mg1 0.0000 0.0000 0.0000 1
Fe1 0.1324 0.0000 0.3981 1
Cu1 0.2492 0.0000 0.7466 1
S1 0.3495 0.5000 0.5485 1
S2 0.4119 0.0000 0.2381 1
```

=====

3.
The following is a calculated X-ray diffraction stick pattern of Dy3GaC. It was derived from a DFT-relaxed cell (GGA-PBE, the Materials Project), using CuKα.
Kinematic intensities with the Lorentz-polarization factor, no thermal factor.

Principal peaks in the range 2θ from 5° to 70°, most intense first:
29.18 deg, I = 100, (1 1 1); 33.82 deg, I = 93, (2 0 0); 16.73 deg, I = 80, (1 0 0); 48.58 deg, I = 67, (2 2 0); 57.68 deg, I = 44, (3 1 1); 37.96 deg, I = 43, (2 1 0); 60.50 deg, I = 23, (2 2 2); 51.74 deg, I = 22, (3 0 0)

Structure:
```
data_Dy3GaC
_chemical_formula_sum 'Dy3 Ga1 C1'
_cell_length_a 5.3008
_cell_length_b 5.3008
_cell_length_c 5.3008
_cell_angle_alpha 90.00
_cell_angle_beta 90.00
_cell_angle_gamma 90.00
_space_group_name_H-M_alt 'P m -3 m'
_space_group_IT_number 221
_space_group_name_Hall '-P 4 2 3'
loop_
_atom_site_label
_atom_site_fract_x
└──
Craig Desson creates audio and video, along with written things in the journalism genre and mostly for the internet. Follow him on Twitter @craigdesson.